Vitamin D Deficiency During Pregnancy: Risk factors and supplements

Vitamin D and Pregnancy
The deficiency of vitamin D in pregnant women is a public health concern with a prevalence of 18-84% worldwide, and 5-50% in the United States. Vitamin D plays a crucial role in bone metabolism and the regulation of calcium, which is in higher demand during pregnancy.
Vitamin D is produced by the body after exposure to sunlight but is also found in many foods. Vitamin D deficiency has been found to be linked with an increased risk of preeclampsia, gestational diabetes mellitus, and preterm birth.
Receiving adequate vitamin D during pregnancy through diet and supplements is necessary to maintain homeostasis and possibly reduce these unwanted outcomes.
Risk factors for vitamin D insufficiency
- Ethnicity
- Extra skin covering
- Generous sun protection
- High BMI
- Low intake of dietary vitamin D
- Smoking
Do I need vitamin D supplements?
Confiding in your healthcare provider is the best way to know whether you need vitamin supplements. However, WHO recommends that pregnant women should be encouraged to receive adequate nutrition through a healthy and balanced diet. And because sunlight is the main and most important source of vitamin D they are advised to be in the sun more. There is no set amount of time for sunlight exposure because of the different factors that play a role, such as the amount of skin exposed, time of day, season, skin pigmentation, and sunscreen use.
Pregnant women with a history of vitamin D deficiency can be given vitamin D supplements at the recommended nutrient intake. Currently, there is limited evidence on the extent of the benefits and harms of vitamin D supplements with regards to limiting mom and baby health outcomes.
What are the foods with high vitamin D content?
- Oily/fatty fish (such as salmon, mackerel, herring, and sardines)
- Eggs
- Fortified cow’s/plant-based milk
- Some breakfast cereals
Though vitamin D occurs naturally in fish and some plants, it is not found in quantifiable amounts in meat, poultry, unfortified dairy products, and in the fruits and vegetables commonly eaten.
Due to the controversy regarding the recommended doses of vitamin D during pregnancy, it is important to get your vitamin needs catered specifically to you by your healthcare provider.
Abbasian, Maryam, et al. “Vitamin D Deficiency in Pregnant Women and Their Neonates.” Global Journal of Health Science, Canadian Center of Science and Education, 1 Sept. 2016,
Dasher, Eva. “Vitamin D during Pregnancy.” BabyCenter, 21 May 2021,
These calculated crystals were left in the article by mistake:
____________
(1)
SrY2CuS4: calculated powder XRD pattern (a wavelength of 1.5418 Å), based on a structure optimized by DFT (PBE).

Peak list (10 most intense, 2θ from 10° to 90°, most intense first)
Position (°2θ)  d [Å]  I (rel.)
33.3  2.688  100
27.1  3.291  70
31.3  2.860  46
23.8  3.737  36
46.3  1.963  29
46.1  1.969  26
40.9  2.206  24
46.0  1.975  20
26.2  3.405  20
43.5  2.081  19

Structure:
a = 6.8653 Å, b = 6.8653 Å, c = 13.6218 Å
α = 90.00°, β = 90.00°, γ = 146.78°
Fractional positions:
Sr1 0.1166 0.8834 0.7500
Sr2 0.8834 0.1166 0.2500
Y1 0.3712 0.6288 0.5585
Y2 0.3712 0.6288 0.9415
Y3 0.6288 0.3712 0.0585
Y4 0.6288 0.3712 0.4415
Cu1 0.1533 0.8467 0.2500
Cu2 0.8467 0.1533 0.7500
S1 0.0000 0.0000 0.0000
S2 0.0000 0.0000 0.5000
S3 0.2708 0.7292 0.1193
S4 0.2708 0.7292 0.3807
S5 0.4430 0.5570 0.7500
S6 0.5570 0.4430 0.2500
S7 0.7292 0.2708 0.6193
S8 0.7292 0.2708 0.8807


(2)
Sn4Au: calculated powder XRD pattern (a wavelength of 1.5418 Å), based on a structure optimized by DFT (PBE).

Peak list (10 most intense, 2θ from 10° to 90°, most intense first)
Position (°2θ)  d [Å]  I (rel.)
33.9  2.648  100
44.2  2.051  91
29.3  3.046  89
40.5  2.226  87
31.3  2.858  60
64.4  1.447  52
30.9  2.890  43
20.4  4.343  33
14.7  6.044  32
70.9  1.329  30

Structure:
a = 6.8837 Å, b = 6.8837 Å, c = 6.5746 Å
α = 90.00°, β = 90.00°, γ = 122.81°
Fractional positions:
Sn1 0.0462 0.2833 0.0802
Sn2 0.2167 0.4538 0.5802
Sn3 0.2833 0.0462 0.5802
Sn4 0.4538 0.2167 0.0802
Sn5 0.5462 0.7833 0.9198
Sn6 0.7167 0.9538 0.4198
Sn7 0.7833 0.5462 0.4198
Sn8 0.9538 0.7167 0.9198
Au1 0.2500 0.7500 0.2500
Au2 0.7500 0.2500 0.7500


(3)
ZnInCl3: calculated powder XRD pattern (a wavelength of 1.5418 Å), based on a structure optimized by DFT (PBE).

Peak list (10 most intense, 2θ from 10° to 90°, most intense first)
Position (°2θ)  d [Å]  I (rel.)
31.1  2.880  100
25.9  3.434  98
17.5  5.068  92
30.2  2.962  88
33.0  2.713  70
26.1  3.415  67
13.6  6.489  63
32.1  2.785  59
16.1  5.504  50
23.9  3.728  37

Structure:
a = 7.2551 Å, b = 8.4469 Å, c = 10.1367 Å
α = 90.00°, β = 90.00°, γ = 90.00°
Fractional positions:
Zn1 0.2024 0.1782 0.0000
Zn2 0.2976 0.6782 0.5000
Zn3 0.7024 0.3218 0.0000
Zn4 0.7976 0.8218 0.5000
In1 0.1181 0.6031 0.8755
In2 0.3819 0.1031 0.3755
In3 0.6181 0.8969 0.8755
In4 0.8819 0.3969 0.3755
Cl1 0.0520 0.7716 0.3654
Cl2 0.1968 0.3464 0.1745
Cl3 0.2505 0.4209 0.5424
Cl4 0.2495 0.9209 0.0424
Cl5 0.3031 0.8464 0.6745
Cl6 0.4480 0.2716 0.8654
Cl7 0.5520 0.7284 0.3654
Cl8 0.6968 0.1536 0.1745
Cl9 0.7505 0.0791 0.5424
Cl10 0.7495 0.5791 0.0424
Cl11 0.8032 0.6536 0.6745
Cl12 0.9480 0.2284 0.8654


(4)
NdSnH: calculated powder XRD pattern (a wavelength of 1.5418 Å), based on a structure optimized by DFT (PBE).

Peak list (10 most intense, 2θ from 10° to 90°, most intense first)
Position (°2θ)  d [Å]  I (rel.)
29.8  3.002  100
35.2  2.548  36
55.7  1.649  31
36.2  2.482  30
41.7  2.165  22
51.3  1.779  18
40.8  2.210  18
71.4  1.322  16
59.8  1.547  15
28.6  3.119  11
____________
Larqué, Elvira, et al. “Maternal and Foetal Health Implications of Vitamin D Status during Pregnancy.” Annals of Nutrition and Metabolism, Karger Publishers, 13 Mar. 2018,
Mulligan, Megan L, et al. “Implications of Vitamin D Deficiency in Pregnancy and Lactation.” American Journal of Obstetrics and Gynecology, U.S. National Library of Medicine, May 2010,
“Vitamin D Supplementation during Pregnancy.” World Health Organization, World Health Organization, 8 Sept. 2020,
“Vitamins, Supplements and Nutrition in Pregnancy.” NHS, NHS, 14 Feb. 2020,